Brief
Could you retype every line underneath that contains the word "species"?

Data
┌──
## a
{"formula": "CH4N2O2", "method": "ωB97M-V/def2-TZVPD", "species": ["N", "N", "C", "O", "O", "H", "H", "H", "H"], "positions_angstrom": [[-0.759, -1.056, -0.006], [0.531, -1.273, -0.235], [0.205, 1.235, 0.087], [-1.023, 0.077, 0.682], [0.885, 1.816, 0.864], [-1.320, -1.110, -0.860], [0.990, -1.303, 0.679], [0.841, -0.085, -0.446], [-0.350, 1.699, -0.764]], "lowdin_charge": [-0.251, 0.034, -0.223, -0.132, 0.097, 0.132, 0.095, 0.116, 0.132], "lumo_ev": [-0.73, -0.73], "gap_ev": [8.33, 8.32], "total_charge": 0}

## b
{"formula": "CH4N2O2", "method": "ωB97M-V/def2-TZVPD", "species": ["C", "N", "N", "O", "O", "H", "H", "H", "H"], "positions_angstrom": [[-1.598, -0.630, -0.488], [1.595, 0.564, 0.493], [-0.499, -0.119, 0.097], [-1.795, -0.933, -1.639], [0.755, 0.114, -0.655], [-2.383, -0.640, 0.348], [2.541, 0.162, 0.258], [1.553, 1.664, 0.520], [-0.170, -0.182, 1.066]], "lowdin_charge": [-0.393, -0.006, 0.015, 0.037, -0.154, 0.145, 0.103, 0.132, 0.122], "smiles": "NONC=O", "lumo_ev": 0.78, "gap_ev": 10.45, "total_charge": 0}

## c
{"formula": "CH4N2O2", "method": "ωB97M-V/def2-TZVPD", "species": ["C", "N", "N", "O", "O", "H", "H", "H", "H"], "positions_angstrom": [[-0.393, 0.387, 0.340], [1.220, -1.088, 0.206], [0.422, -0.375, -0.472], [0.272, -0.344, -1.692], [1.924, -2.075, -0.492], [0.130, 1.251, 0.713], [-0.864, -0.379, 1.092], [-1.379, 0.682, -0.162], [1.725, -1.898, -1.391]], "lowdin_charge": [-0.039, 0.053, -0.438, -0.004, 0.022, 0.094, 0.137, 0.126, 0.048], "smiles": "C/[N+]([O-])=N/O", "lumo_ev": 0.68, "gap_ev": 10.36, "total_charge": 0}

## d
{"formula": "CH4N2O2", "method": "ωB97M-V/def2-TZVPD", "species": ["C", "N", "N", "O", "O", "H", "H", "H", "H"], "positions_angstrom": [[-1.037, 1.005, 0.159], [-0.186, 0.557, 0.954], [0.753, -1.120, -1.167], [1.267, -1.930, -1.892], [1.193, -1.298, 0.096], [-1.105, 0.458, -0.790], [-1.553, 1.954, 0.224], [0.705, -0.557, 0.518], [-0.037, 0.932, 1.898]], "lowdin_charge": [-0.053, 0.035, -0.134, -0.013, -0.029, 0.069, 0.077, -0.053, 0.101], "smiles": "O=NO.C=N", "lumo_ev": 0.54, "gap_ev": 10.28, "total_charge": 0}

Quick one: least stable of them? a

## a
{"formula": "CH4N2O2", "method": "ωB97M-V/def2-TZVPD", "species": ["C", "H", "H", "H", "H", "N", "N", "O", "O"], "positions_angstrom": [[-0.954, -0.495, 0.071], [-1.322, -0.056, 0.848], [-1.208, -0.178, -1.132], [-1.371, -1.414, 0.250], [1.078, -1.025, -0.105], [0.493, -0.446, 0.299], [1.006, 0.878, 0.032], [1.239, 1.610, 0.888], [1.039, 1.126, -1.152]], "lowdin_charge": [-0.058, 0.014, 0.169, 0.049, 0.054, 0.021, -0.460, 0.148, 0.064], "smiles": "CN[N+](=O)[O-]", "lumo_ev": 0.50, "gap_ev": 10.57, "total_charge": 0}

## b
{"formula": "CH4N2O2", "method": "ωB97M-V/def2-TZVPD", "species": ["C", "N", "N", "O", "O", "H", "H", "H", "H"], "positions_angstrom": [[0.993, -0.654, 0.109], [-2.741, 0.057, 0.189], [0.261, 1.507, 0.024], [-1.857, -0.636, -0.094], [0.094, 0.272, -0.481], [0.429, -1.520, 0.455], [1.508, -0.172, 0.941], [1.708, -0.961, -0.654], [-0.396, 2.107, -0.488]], "lowdin_charge": [-0.086, 0.091, 0.081, -0.067, -0.319, 0.079, 0.084, 0.087, 0.050], "lumo_ev": [0.52, -0.27], "gap_ev": [9.43, 8.18], "total_charge": 0}

## c
{"formula": "CH4N2O2", "method": "ωB97M-V/def2-TZVPD", "species": ["C", "N", "N", "O", "O", "H", "H", "H", "H"], "positions_angstrom": [[1.204, 0.493, 0.175], [-1.897, -1.005, -0.120], [-0.893, -0.356, -0.089], [-0.929, 1.100, -0.840], [0.269, -0.500, 0.504], [2.231, 0.306, 0.511], [0.810, 1.492, 0.488], [1.230, 0.386, -0.863], [-2.025, -1.917, 0.235]], "lowdin_charge": [-0.079, 0.210, -0.251, -0.204, -0.041, 0.103, 0.110, 0.064, 0.088], "smiles": "[H]/N=[N+](/[O-])OC", "lumo_ev": 0.29, "gap_ev": 9.78, "total_charge": 0}

Quick one: least stable of them? c

## a
└──

Solution
{"formula": "CH4N2O2", "method": "ωB97M-V/def2-TZVPD", "species": ["N", "N", "C", "O", "O", "H", "H", "H", "H"], "positions_angstrom": [[-0.759, -1.056, -0.006], [0.531, -1.273, -0.235], [0.205, 1.235, 0.087], [-1.023, 0.077, 0.682], [0.885, 1.816, 0.864], [-1.320, -1.110, -0.860], [0.990, -1.303, 0.679], [0.841, -0.085, -0.446], [-0.350, 1.699, -0.764]], "lowdin_charge": [-0.251, 0.034, -0.223, -0.132, 0.097, 0.132, 0.095, 0.116, 0.132], "lumo_ev": [-0.73, -0.73], "gap_ev": [8.33, 8.32], "total_charge": 0}
{"formula": "CH4N2O2", "method": "ωB97M-V/def2-TZVPD", "species": ["C", "N", "N", "O", "O", "H", "H", "H", "H"], "positions_angstrom": [[-1.598, -0.630, -0.488], [1.595, 0.564, 0.493], [-0.499, -0.119, 0.097], [-1.795, -0.933, -1.639], [0.755, 0.114, -0.655], [-2.383, -0.640, 0.348], [2.541, 0.162, 0.258], [1.553, 1.664, 0.520], [-0.170, -0.182, 1.066]], "lowdin_charge": [-0.393, -0.006, 0.015, 0.037, -0.154, 0.145, 0.103, 0.132, 0.122], "smiles": "NONC=O", "lumo_ev": 0.78, "gap_ev": 10.45, "total_charge": 0}
{"formula": "CH4N2O2", "method": "ωB97M-V/def2-TZVPD", "species": ["C", "N", "N", "O", "O", "H", "H", "H", "H"], "positions_angstrom": [[-0.393, 0.387, 0.340], [1.220, -1.088, 0.206], [0.422, -0.375, -0.472], [0.272, -0.344, -1.692], [1.924, -2.075, -0.492], [0.130, 1.251, 0.713], [-0.864, -0.379, 1.092], [-1.379, 0.682, -0.162], [1.725, -1.898, -1.391]], "lowdin_charge": [-0.039, 0.053, -0.438, -0.004, 0.022, 0.094, 0.137, 0.126, 0.048], "smiles": "C/[N+]([O-])=N/O", "lumo_ev": 0.68, "gap_ev": 10.36, "total_charge": 0}
{"formula": "CH4N2O2", "method": "ωB97M-V/def2-TZVPD", "species": ["C", "N", "N", "O", "O", "H", "H", "H", "H"], "positions_angstrom": [[-1.037, 1.005, 0.159], [-0.186, 0.557, 0.954], [0.753, -1.120, -1.167], [1.267, -1.930, -1.892], [1.193, -1.298, 0.096], [-1.105, 0.458, -0.790], [-1.553, 1.954, 0.224], [0.705, -0.557, 0.518], [-0.037, 0.932, 1.898]], "lowdin_charge": [-0.053, 0.035, -0.134, -0.013, -0.029, 0.069, 0.077, -0.053, 0.101], "smiles": "O=NO.C=N", "lumo_ev": 0.54, "gap_ev": 10.28, "total_charge": 0}
{"formula": "CH4N2O2", "method": "ωB97M-V/def2-TZVPD", "species": ["C", "H", "H", "H", "H", "N", "N", "O", "O"], "positions_angstrom": [[-0.954, -0.495, 0.071], [-1.322, -0.056, 0.848], [-1.208, -0.178, -1.132], [-1.371, -1.414, 0.250], [1.078, -1.025, -0.105], [0.493, -0.446, 0.299], [1.006, 0.878, 0.032], [1.239, 1.610, 0.888], [1.039, 1.126, -1.152]], "lowdin_charge": [-0.058, 0.014, 0.169, 0.049, 0.054, 0.021, -0.460, 0.148, 0.064], "smiles": "CN[N+](=O)[O-]", "lumo_ev": 0.50, "gap_ev": 10.57, "total_charge": 0}
{"formula": "CH4N2O2", "method": "ωB97M-V/def2-TZVPD", "species": ["C", "N", "N", "O", "O", "H", "H", "H", "H"], "positions_angstrom": [[0.993, -0.654, 0.109], [-2.741, 0.057, 0.189], [0.261, 1.507, 0.024], [-1.857, -0.636, -0.094], [0.094, 0.272, -0.481], [0.429, -1.520, 0.455], [1.508, -0.172, 0.941], [1.708, -0.961, -0.654], [-0.396, 2.107, -0.488]], "lowdin_charge": [-0.086, 0.091, 0.081, -0.067, -0.319, 0.079, 0.084, 0.087, 0.050], "lumo_ev": [0.52, -0.27], "gap_ev": [9.43, 8.18], "total_charge": 0}
{"formula": "CH4N2O2", "method": "ωB97M-V/def2-TZVPD", "species": ["C", "N", "N", "O", "O", "H", "H", "H", "H"], "positions_angstrom": [[1.204, 0.493, 0.175], [-1.897, -1.005, -0.120], [-0.893, -0.356, -0.089], [-0.929, 1.100, -0.840], [0.269, -0.500, 0.504], [2.231, 0.306, 0.511], [0.810, 1.492, 0.488], [1.230, 0.386, -0.863], [-2.025, -1.917, 0.235]], "lowdin_charge": [-0.079, 0.210, -0.251, -0.204, -0.041, 0.103, 0.110, 0.064, 0.088], "smiles": "[H]/N=[N+](/[O-])OC", "lumo_ev": 0.29, "gap_ev": 9.78, "total_charge": 0}